Sunday, April 23, 2006

Group 81

The first newsletter of Group 81 produced at the end of the 1981 COHSE Conference.

Group 81 was effectively the very "broad based" broad left in COHSE.

**Inserted here: records of crystals:**
=====
Entry 1:
A relaxed structure of GaAu. Source: Materials Project, functional PBE. Values from VASP.

Structure (Quantum ESPRESSO input):
```
&SYSTEM
  ibrav = 0, nat = 8, ntyp = 2
/
ATOMIC_SPECIES
Ga 69.72 Ga.upf
Au 196.97 Au.upf
CELL_PARAMETERS angstrom
3.593 0.000 0.000
0.000 6.388 0.000
0.000 0.000 6.454
ATOMIC_POSITIONS crystal
Ga 0.750 0.317 0.930
Ga 0.750 0.817 0.570
Ga 0.250 0.183 0.430
Ga 0.250 0.683 0.070
Au 0.250 0.006 0.809
Au 0.750 0.494 0.309
Au 0.750 0.994 0.191
Au 0.250 0.506 0.691
```

**Total energy**: -27.044 eV for the cell shown
**Formation energy**: -0.229 eV per atom
**SG**: Pnma

Entry 2:
A relaxed structure of HoGaAu. Source: Materials Project, functional PBE. Values from VASP.

Structure (Quantum ESPRESSO input):
```
&SYSTEM
  ibrav = 0, nat = 6, ntyp = 3
/
ATOMIC_SPECIES
Ho 164.93 Ho.upf
Ga 69.72 Ga.upf
Au 196.97 Au.upf
CELL_PARAMETERS angstrom
2.257 5.222 0.000
-2.257 5.222 0.000
0.000 4.712 5.301
ATOMIC_POSITIONS crystal
Ho 0.537 0.537 0.704
Ho 0.463 0.463 0.296
Ga 0.841 0.841 0.109
Ga 0.159 0.159 0.891
Au 0.177 0.177 0.281
Au 0.823 0.823 0.719
```

**Total energy**: -26.496 eV for the cell shown
**Formation energy**: -0.788 eV per atom
**SG**: C2/m

Entry 3:
A relaxed structure of K2GaAuI6. Source: Materials Project, functional PBE. Values from VASP.

Structure (Quantum ESPRESSO input):
```
&SYSTEM
  ibrav = 0, nat = 10, ntyp = 4
/
ATOMIC_SPECIES
K 39.10 K.upf
Ga 69.72 Ga.upf
Au 196.97 Au.upf
I 126.90 I.upf
CELL_PARAMETERS angstrom
0.000 5.824 5.824
5.824 0.000 5.824
5.824 5.824 0.000
ATOMIC_POSITIONS crystal
K 0.750 0.750 0.750
K 0.250 0.250 0.250
Ga 0.000 0.000 0.000
Au 0.500 0.500 0.500
I 0.752 0.248 0.248
I 0.248 0.248 0.752
I 0.248 0.752 0.752
I 0.248 0.752 0.248
I 0.752 0.248 0.752
I 0.752 0.752 0.248
```

**Total energy**: -24.486 eV for the cell shown
**Formation energy**: -0.909 eV per atom
**SG**: Fm-3m
**Spin magnetization**: 0.00 μB per formula unit

Entry 4:
A relaxed structure of La2Ga7Au. Source: Materials Project, functional PBE. Values from VASP.

Structure (Quantum ESPRESSO input):
```
&SYSTEM
  ibrav = 0, nat = 10, ntyp = 3
/
ATOMIC_SPECIES
La 138.91 La.upf
Ga 69.72 Ga.upf
Au 196.97 Au.upf
CELL_PARAMETERS angstrom
4.469 0.000 0.000
0.000 4.469 0.000
0.000 0.000 10.626
ATOMIC_POSITIONS crystal
La 0.000 0.000 0.998
La 0.500 0.500 0.494
Ga 0.000 0.500 0.250
Ga 0.500 0.000 0.750
Ga 0.500 0.000 0.250
Ga 0.000 0.500 0.750
Ga 0.000 0.000 0.619
Ga 0.000 0.000 0.383
Ga 0.500 0.500 0.884
Au 0.500 0.500 0.122
```

**Total energy**: -40.231 eV for the cell shown
**Formation energy**: -0.589 eV per atom
**SG**: P4mm

Entry 5:
A relaxed structure of Li2GaAu. Source: Materials Project, functional PBE. Values from VASP.

Structure (Quantum ESPRESSO input):
```
&SYSTEM
  ibrav = 0, nat = 4, ntyp = 3
/
ATOMIC_SPECIES
Li 6.94 Li.upf
Ga 69.72 Ga.upf
Au 196.97 Au.upf
CELL_PARAMETERS angstrom
-3.995 -0.353 -1.852
-3.181 2.883 1.042
-1.331 2.989 -2.968
ATOMIC_POSITIONS crystal
Li 0.250 0.250 0.250
Li 0.500 0.500 0.500
=====

Hector MacKenzie COHSE General Secretary stated later of Group 81 " We either employed them or they faded away"

Group 81 did play a part in shifting the union from it's right wing axcess to a more "progressive" "main stream" union especially in the areas of equal opportunities




Well comrades the farce that was the 1981 (so called) delegate conference is now over. As members go back to their normal routines the feelings of anger and frustration that were so apparent at conference recede. It is important that we stir those feelings again reminding delegates of the blatant control and manipulation that took place a Bridlington. We must also use these opportunities to inform people about the functions and aims of “ Group 81”. We must be seen as an “open conspiracy” willing to discuss our membership of Group 81 with anyone


1. To establish democratic delegate control of Conference

2. Accountability and democracy within COHSE

3. For a minimum wage of £100 pw linked to 35hr week

4. Eradication of all private medicine

5. full Employment

6. Increased public spending, in health Education and housing.

7. Unilateral Disarmament

8. Equality of all races, creeds, colours and sex

NEC Elections.

If any member is preparing to stand in N.E.C. elections could we suggest tat they do so on a group 81 platform. This would give an opportunity for policies to be discussed and an indication of the potential support we could have within the union, along with the obvious benefits of having a left inclined N.E.C.

September Regional Council

It is suggested that at every regional council in September the following resolution should be on the

"That this Regional Council supports the aims of" Group 81"." Again this would

be an ideal opportunity to discuss our policies and gauge potential support in

the regions. This tactic allows "Group 81" to be seen as an active and

functioning force within the union.


We in-bended to produce badges for the September Regional Council and a magazine around Christmas. Unfortunately these ventures will cost money and branches •which wish to sponsor "Group 81" should send cheques made payable to "Group 81", C/0 Peter Haworth, 55 Millmoor Crescent, Eynsham, Oxon. Bangour 906 and Oxford 645 branches have both contributed £50 to the above fund.


Any member wishing to contribute to a magazine could they please submit articles to myself by the first week in November, We hope to produce a good magazine which will be available for distribution at the January Regional Councils


Labour Party Deputy Leadership Election

Corades this is going to be our most important task over the next two months.

According to various calculations the Confederations votes at the Labour Party

Conference will be crucial in deciding the outcome of the deputy leadership

battle. The N.E.C. are due to meet on the 6th and 7th of August when they will

decide how the branches are to be consulted over the leadership question. We

must make sure that every branch which supports Tony Benn feeds this information back to Banstead. Hopefully the vast majority of apathetic branches who do not reply to Head Office circulars will maintain their normal consistency. For example to mount a campaign of support for Tony Benn would be counter-productive in Scotland but personal contact will work. Each member is asked to assess their region and use their own "judgment^ in maximising support for Benn.

This has been a very quickly drawn 'news letter to keep delegates .thinking

about "Group 81",Remember we will only survive by your activity.

Jim Devine

Branch Secretary

Bangour 906 COHSE Branch

Did Jim Devine get the name Group 81 from the 79 Group the left wing groupiing within the Scottish National Party (later expelled)